[ Challenges ] [ Sims 3 Stories ]

[The Agnes Challenge ]

[A Visit ]

[Giovanni and Agnes]

Agnes and Eric


Well, Don Renzella and Giovanni were gone, and she was left with her baby son Cor and her former husband Eric.

Agnes sold the platinum ingots she had from China. They would have enough to live on for a little while. Eric would calm down and come back, she was sure. Well, she hoped.

Meanwhile, her time was taken up with caring for Cor.

And she was right. Eric did come back. And agreed to stay. "It's not as if I have anywhere else to go. I don't know this town, my parents are long gone. I've been very lonely since you - brought me back. And little Cor is a sweetie."

"Where did you go yesterday?"

"Oh, a bar. And a park - it was warm, I slept on a bench."

"I want you to stay," she said.

He half-smiled and agreed.

For a short time they were content in domesticity. But there were dark clouds on the horizon.

For one thing, Cor had inherited his father's temperament. He threw tantrums, sulked, and although he was a clever little boy, he took a very long time to learn to speak. "It's almost as if you feel you don't have anything to say to us," wondered Agnes, who was sure that he understood her perfectly.

Giovanni turned up at Agnes' house one morning, while Eric was potty-training Cor and Agnes was trying to fix the shower. Eric had actually been out all night at Renee Littler's party, and was still wearing his suit.

Giovanni demanded to see his son. Eric went upstairs to fetch Cor, and came back downstairs to find Agnes and Giovanni screaming at one another.

He put Cor in his pram, mildly told Agnes the man had a right to see his own son, and set off to the gym for a training session he had booked yesterday. All those doughnuts he had eaten in SimHeaven had not shown any effect THERE...

Giovanni looked at Agnes. "Et tu, are you happy with this man? We had - something good. Didn't we?"

Agnes knew she felt much more strongly attracted to Giovanni than she had ever felt to poor Eric. Eric had been the obvious choice, the boy next door, the one her parents had intended her to marry since she was a child. But Giovanni pulled at her heartstrings. She forgot all the times he had been mean to her, or had simply seemed to forget she existed. 

# Attached: materials data
=====
1.
The following is a GGA-PBE calculation of a relaxed structure of AgO, from the Materials Project database.

a b c (Å): 3.583 3.583 3.583
angles (deg): 60.00 60.00 60.00
Fractional positions:
Ag (0.000, 0.000, 0.000)
O (0.250, 0.250, 0.250)

* calculated volume: 16.26 Å³/atom
* calculated formation energy: -0.14 eV per atom
* size of the total moment: 0.13 μB/f.u.
* total energy after the MP2020 corrections: -8.1 eV per cell
* mass density: 6.32 g/cm3

---

2.
The following is a GGA-PBE calculation of a relaxed structure of AgO, from the Materials Project database.

a b c (Å): 3.299 3.299 5.609
angles (deg): 90.00 90.00 93.38
Fractional positions:
Ag (0.000, 0.500, 0.000)
Ag (0.500, 0.000, 0.500)
O (0.000, 0.000, 0.250)
O (0.000, 0.000, 0.750)

* calculated volume: 15.23 Å³/atom
* calculated formation energy: -0.45 eV per atom
* total energy after the MP2020 corrections: -17.3 eV per cell
* mass density: 6.75 g/cm3

---

3.
The following is a GGA-PBE calculation of a relaxed structure of AgO, from the Materials Project database.

a b c (Å): 6.802 6.802 6.802
angles (deg): 118.52 118.52 92.58
Fractional positions:
Ag (0.000, 0.000, 0.000)
Ag (0.000, 0.000, 0.500)
Ag (0.000, 0.500, 0.000)
Ag (0.000, 0.500, 0.500)
Ag (0.500, 0.000, 0.000)
Ag (0.500, 0.000, 0.500)
Ag (0.500, 0.500, 0.000)
Ag (0.500, 0.500, 0.500)
O (0.204, 0.795, 0.922)
O (0.218, 0.296, 0.092)
O (0.295, 0.873, 0.592)
O (0.373, 0.282, 0.578)
O (0.627, 0.718, 0.422)
O (0.705, 0.127, 0.408)
O (0.782, 0.704, 0.908)
O (0.796, 0.205, 0.078)

* calculated volume: 14.20 Å³/atom
* calculated formation energy: -0.40 eV per atom
* size of the total moment: 0.00 μB/f.u.
* total energy after the MP2020 corrections: -68.7 eV per cell
* mass density: 7.24 g/cm3

---

4.
The following is a GGA-PBE calculation of a relaxed structure of AgO, from the Materials Project database.

a b c (Å): 3.309 3.309 5.581
angles (deg): 90.00 90.00 90.33
Fractional positions:
Ag (0.000, 0.500, 0.000)
Ag (0.500, 0.000, 0.500)
O (0.000, 0.000, 0.250)
O (0.000, 0.000, 0.750)

* calculated volume: 15.28 Å³/atom
* calculated formation energy: -0.45 eV per atom
* size of the total moment: 0.00 μB/f.u.
* total energy after the MP2020 corrections: -17.4 eV per cell
* mass density: 6.73 g/cm3

---

5.
The following is a GGA-PBE calculation of a relaxed structure of AgO, from the Materials Project database.

a b c (Å): 3.294 3.294 5.595
angles (deg): 93.48 93.48 86.04
Fractional positions:
Ag (0.000, 0.500, 0.000)
Ag (0.500, 0.000, 0.500)
O (0.023, 0.977, 0.750)
O (0.977, 0.023, 0.250)

* calculated volume: 15.09 Å³/atom
* calculated formation energy: -0.44 eV per atom
* total energy after the MP2020 corrections: -17.3 eV per cell
* mass density: 6.82 g/cm3

---

6.
The following is a GGA-PBE calculation of a relaxed structure of Ag3O, from the Materials Project database.

a b c (Å): 5.410 5.410 5.043
angles (deg): 90.00 90.00 120.00
Fractional positions:
Ag (0.000, 0.311, 0.222)
Ag (0.000, 0.689, 0.778)
=====

"Why, Giovanni, why are you asking me this?"

"My Pappa has been telling me I need to have a son. And a wife. He likes you, and he does  not like this blonde wimp you call husband."

"Your Pappa?" Now she felt insulted. "This is all his idea? Not yours?"

"Mio Pappa is always right. Agnes, cara, I know I was not good to you. I used you. But it was so vital to me, to try to save him. And you were kind to me and helped me to get him back, and I took your money. Come, leave this wimp and come and live with me and Pappa in our new house, with MY little boy, who is the most beautiful boy I ever saw."

"I... can't." She frowned. "Eric is my husband. I can't do that to him."

"He was dead, cara. Marriage is broken on death... mio Pappa is no longer married to Aria, though he loved her."

He looked down at her and felt his heart stirring. This woman lookd so vulnerable. he liked vulnerable women. He still found her very attractive, and he thought he could detect the same in her.

"Do you know how desirable you are? Your fine bones, your hair... my beautiful, mia bella, little Agnes..." She felt her legs turn to jelly, as he picked her up and carried her up the stairs. 

"This is wrong..." she said weakly. "But you want this," he said as he put her on the bed. She tried again to say "No" - but she couldn't.

When he was finished, he sat for a while, thinking, and then got dressed, quietly collected the baby's things, and put little Cor in the pram.

"I can wind you around my little finger, mia cara, mia bella."

She was suddenly very afraid. "Are you taking Cor? You can't!"

"I can do whatever I want. Nobody tells me what to do. Not even you, rubbish that you are."

"How dare you! Get out!"

"You KNOW you will not say no to me. No-one says no to Giovanni Gotti. And lives. And as for that wimp of a husband, how would you like to see him at the bottom of the river? He has a history of messing about in the water and drowning, hasn't he? Let me get him  out of the way for you."


"And yes, I am taking little Cor."


"I can. He is my son. And you will find I can do anything I want. I just did, didn't I?"

"He is MY son!"

"He is MY son. I can bring him up better than you, give him a good life. You are POOR. Your man is a WIMP."

Right on cue, Eric returned from the gym. Sensing an atmosphere between Giovanni and Agnes, but not understanding the significance of the pram outside the door, he told Giovanni to leave.

"I was just going," he said - and left with Cor.

A day or so later, Giovanni called Agnes. "When is Eric's next appointment at the gym?"

"Tomorrow afternoon," she said. 

"I need to see you," he said. "Are your bringing Cor?" she asked, but he had already hung up.

Maybe he would bring Cor... Agnes knew on one level that that was a forlorn hope. But on another level... she looked forward to the visit.

This was to become a pattern. Giovanni visiting while Eric was at the gym.

One afternoon, Giovanni stood outside the house that was now Agnes' and wondered if money was what she wanted. Could he buy her off?

"Why would I want your money? Your dirty money? I want my son back."

Eric arrived. "You here again? Cor isn't even here now. What do you want?"

and then she fainted.

Giovanni, concerned in spite of himself, noticed through the window, and paused out there.

When she recovered, Agnes went outside to talk to him. "I don't want to see you here any more. I don't want to SEE you ANYWHERE unless you are bringing Cor back to me. Now go!"

"Well," thought Giovanni. "The worm has turned."

Agnes goes to Sunset Valley

August 14, 2012